[Work order]
What is needed: copy the whole of the listing underneath word for word.

[Data]
Record 1
A relaxed structure of CaMg5. Source: Materials Project, functional PBE.

```
CaMg5
1.0
1.6534 6.3537 0.0000
-1.6534 6.3537 0.0000
0.0000 1.8670 7.3463
Ca Mg
1 5
Direct
0.6133 0.6133 0.2723 Ca
0.9924 0.9924 0.9909 Mg
0.2860 0.2860 0.9352 Mg
0.3380 0.3380 0.3381 Mg
0.6667 0.6667 0.6779 Mg
0.9368 0.9368 0.6189 Mg
```

- E (eV/cell) = -9.875
- space group = Cm, No. 8
- ΔH_f (0 K) (eV per atom) = 0.0220

---

Record 2
A relaxed structure of CaMg. Source: Materials Project, functional PBE.

```
CaMg
1.0
-1.7724 2.3813 2.7349
1.4185 -2.3462 2.9622
3.1756 2.1522 0.1840
Ca Mg
1 1
Direct
0.0000 0.0000 0.5000 Ca
0.5000 0.5000 0.0000 Mg
```

- E (eV/cell) = -3.763
- space group = P4/mmm, No. 123
- ΔH_f (0 K) (eV per atom) = -0.0788

---

Record 3
A relaxed structure of CaMg. Source: Materials Project, functional PBE.

```
CaMg
1.0
-3.1062 -0.7928 2.1030
-1.9835 -3.3400 -4.1889
2.7013 -4.4868 2.2985
Mg Ca
2 2
Direct
0.0000 0.7500 0.7445 Mg
0.0000 0.2500 0.2555 Mg
0.5000 0.7500 0.2465 Ca
0.5000 0.2500 0.7535 Ca
```

- E (eV/cell) = -7.525
- space group = Pmma, No. 51
- ΔH_f (0 K) (eV per atom) = -0.0784

---

Record 4
A relaxed structure of CaMg2. Source: Materials Project, functional PBE.

```
CaMg2
1.0
1.7248 6.5352 0.0000
-1.7248 6.5352 0.0000
0.0000 1.6734 7.7503
Ca Mg
2 4
Direct
0.6191 0.6191 0.2632 Ca
0.9385 0.9385 0.6214 Ca
0.3358 0.3358 0.3212 Mg
0.2770 0.2770 0.9469 Mg
0.6687 0.6687 0.6784 Mg
0.9942 0.9942 0.0022 Mg
```

- E (eV/cell) = -10.158
- space group = Cm, No. 8
- ΔH_f (0 K) (eV per atom) = 0.0424

---

Record 5
A relaxed structure of CaMg. Source: Materials Project, functional PBE.

```
CaMg
1.0
1.8341 -3.1767 0.0000
1.8341 3.1767 0.0000
0.0000 0.0000 5.6223
Ca Mg
1 1
Direct
0.0000 0.0000 0.5000 Ca
0.6667 0.3333 0.0000 Mg
```

- E (eV/cell) = -3.493
- space group = P-6m2, No. 187
- ΔH_f (0 K) (eV per atom) = 0.0563

---

Record 6
A relaxed structure of CaMg. Source: Materials Project, functional PBE.

```
CaMg
1.0
3.6926 0.0000 0.0000
0.0000 5.8096 0.0000
0.0000 0.0000 5.9893
Mg Ca
2 2
Direct
0.0000 0.5000 0.4150 Mg
0.5000 0.0000 0.5850 Mg
0.0000 0.0000 0.0932 Ca
0.5000 0.5000 0.9068 Ca
```

- E (eV/cell) = -7.027
- space group = Pmmn, No. 59
- ΔH_f (0 K) (eV per atom) = 0.0462

---

Record 7
A relaxed structure of CaMg. Source: Materials Project, functional PBE.

```
CaMg
1.0
-3.6007 0.4943 -4.2700
2.5440 -1.8116 -2.3550
-7.0032 -15.2208 4.1435
Mg Ca
6 6
Direct
0.5000 0.0000 0.2100 Mg
0.0000 0.0000 0.0032 Mg
0.0000 0.5000 0.5032 Mg
0.5000 0.5000 0.7100 Mg
0.0000 0.0000 0.3550 Mg
0.0000 0.5000 0.8550 Mg
0.0000 0.5000 0.1877 Ca
0.5000 0.0000 0.5468 Ca
0.5000 0.5000 0.3640 Ca
0.5000 0.5000 0.0468 Ca
0.5000 0.0000 0.8640 Ca
0.0000 0.0000 0.6877 Ca
```

- E (eV/cell) = -22.225
- ΔH_f (0 K) (eV per atom) = -0.0491

---

Record 8
A relaxed structure of CaMg. Source: Materials Project, functional PBE.

```
CaMg
1.0
5.7506 -1.8287 0.0000
5.7506 1.8287 0.0000
5.1691 0.0000 3.1136
Mg Ca
1 1
Direct
0.5000 0.5000 0.5000 Mg
0.0000 0.0000 0.0000 Ca
```

- E (eV/cell) = -3.496
- space group = R-3m, No. 166
- ΔH_f (0 K) (eV per atom) = 0.0548

=====

VASP calculation (PBE-GGA) on an optimized crystal structure of KCeSiS4.

As for the electronic total energy: -5.547 eV/atom. For the excess energy over the best structure of this formula in the dataset, the calculation gives 0.0 meV/atom. The total energy after the MP2020 corrections comes out at -5.834 eV/atom.

The structure belongs to space group P2_1 (No. 4); the cell edges are 6.5754, 6.7003 and 8.8251 Å and the angles 90.00°, 107.24° and 90.00°. The distinct sites, in fractional coordinates, are K at (0.2226, 0.0000, 0.4319), Ce at (0.2701, 0.0182, 0.9501), Si at (0.2836, 0.4882, 0.1810), S at (0.0867, 0.4890, 0.3314), S at (0.0982, 0.4485, 0.9385), S at (0.4779, 0.7500, 0.2121) and S at (0.4873, 0.7525, 0.7727).

=====

1.
Cs2P4Pd3O14: relaxed, PBE.

Computed properties:
theoretical density: 3.73 g/cm³
corrected total energy (MP2020 scheme): -6.896 eV per atom

[Outcome]
Record 1
A relaxed structure of CaMg5. Source: Materials Project, functional PBE.

```
CaMg5
1.0
1.6534 6.3537 0.0000
-1.6534 6.3537 0.0000
0.0000 1.8670 7.3463
Ca Mg
1 5
Direct
0.6133 0.6133 0.2723 Ca
0.9924 0.9924 0.9909 Mg
0.2860 0.2860 0.9352 Mg
0.3380 0.3380 0.3381 Mg
0.6667 0.6667 0.6779 Mg
0.9368 0.9368 0.6189 Mg
```

- E (eV/cell) = -9.875
- space group = Cm, No. 8
- ΔH_f (0 K) (eV per atom) = 0.0220

---

Record 2
A relaxed structure of CaMg. Source: Materials Project, functional PBE.

```
CaMg
1.0
-1.7724 2.3813 2.7349
1.4185 -2.3462 2.9622
3.1756 2.1522 0.1840
Ca Mg
1 1
Direct
0.0000 0.0000 0.5000 Ca
0.5000 0.5000 0.0000 Mg
```

- E (eV/cell) = -3.763
- space group = P4/mmm, No. 123
- ΔH_f (0 K) (eV per atom) = -0.0788

---

Record 3
A relaxed structure of CaMg. Source: Materials Project, functional PBE.

```
CaMg
1.0
-3.1062 -0.7928 2.1030
-1.9835 -3.3400 -4.1889
2.7013 -4.4868 2.2985
Mg Ca
2 2
Direct
0.0000 0.7500 0.7445 Mg
0.0000 0.2500 0.2555 Mg
0.5000 0.7500 0.2465 Ca
0.5000 0.2500 0.7535 Ca
```

- E (eV/cell) = -7.525
- space group = Pmma, No. 51
- ΔH_f (0 K) (eV per atom) = -0.0784

---

Record 4
A relaxed structure of CaMg2. Source: Materials Project, functional PBE.

```
CaMg2
1.0
1.7248 6.5352 0.0000
-1.7248 6.5352 0.0000
0.0000 1.6734 7.7503
Ca Mg
2 4
Direct
0.6191 0.6191 0.2632 Ca
0.9385 0.9385 0.6214 Ca
0.3358 0.3358 0.3212 Mg
0.2770 0.2770 0.9469 Mg
0.6687 0.6687 0.6784 Mg
0.9942 0.9942 0.0022 Mg
```

- E (eV/cell) = -10.158
- space group = Cm, No. 8
- ΔH_f (0 K) (eV per atom) = 0.0424

---

Record 5
A relaxed structure of CaMg. Source: Materials Project, functional PBE.

```
CaMg
1.0
1.8341 -3.1767 0.0000
1.8341 3.1767 0.0000
0.0000 0.0000 5.6223
Ca Mg
1 1
Direct
0.0000 0.0000 0.5000 Ca
0.6667 0.3333 0.0000 Mg
```

- E (eV/cell) = -3.493
- space group = P-6m2, No. 187
- ΔH_f (0 K) (eV per atom) = 0.0563

---

Record 6
A relaxed structure of CaMg. Source: Materials Project, functional PBE.

```
CaMg
1.0
3.6926 0.0000 0.0000
0.0000 5.8096 0.0000
0.0000 0.0000 5.9893
Mg Ca
2 2
Direct
0.0000 0.5000 0.4150 Mg
0.5000 0.0000 0.5850 Mg
0.0000 0.0000 0.0932 Ca
0.5000 0.5000 0.9068 Ca
```

- E (eV/cell) = -7.027
- space group = Pmmn, No. 59
- ΔH_f (0 K) (eV per atom) = 0.0462

---

Record 7
A relaxed structure of CaMg. Source: Materials Project, functional PBE.

```
CaMg
1.0
-3.6007 0.4943 -4.2700
2.5440 -1.8116 -2.3550
-7.0032 -15.2208 4.1435
Mg Ca
6 6
Direct
0.5000 0.0000 0.2100 Mg
0.0000 0.0000 0.0032 Mg
0.0000 0.5000 0.5032 Mg
0.5000 0.5000 0.7100 Mg
0.0000 0.0000 0.3550 Mg
0.0000 0.5000 0.8550 Mg
0.0000 0.5000 0.1877 Ca
0.5000 0.0000 0.5468 Ca
0.5000 0.5000 0.3640 Ca
0.5000 0.5000 0.0468 Ca
0.5000 0.0000 0.8640 Ca
0.0000 0.0000 0.6877 Ca
```

- E (eV/cell) = -22.225
- ΔH_f (0 K) (eV per atom) = -0.0491

---

Record 8
A relaxed structure of CaMg. Source: Materials Project, functional PBE.

```
CaMg
1.0
5.7506 -1.8287 0.0000
5.7506 1.8287 0.0000
5.1691 0.0000 3.1136
Mg Ca
1 1
Direct
0.5000 0.5000 0.5000 Mg
0.0000 0.0000 0.0000 Ca
```

- E (eV/cell) = -3.496
- space group = R-3m, No. 166
- ΔH_f (0 K) (eV per atom) = 0.0548

=====

VASP calculation (PBE-GGA) on an optimized crystal structure of KCeSiS4.

As for the electronic total energy: -5.547 eV/atom. For the excess energy over the best structure of this formula in the dataset, the calculation gives 0.0 meV/atom. The total energy after the MP2020 corrections comes out at -5.834 eV/atom.

The structure belongs to space group P2_1 (No. 4); the cell edges are 6.5754, 6.7003 and 8.8251 Å and the angles 90.00°, 107.24° and 90.00°. The distinct sites, in fractional coordinates, are K at (0.2226, 0.0000, 0.4319), Ce at (0.2701, 0.0182, 0.9501), Si at (0.2836, 0.4882, 0.1810), S at (0.0867, 0.4890, 0.3314), S at (0.0982, 0.4485, 0.9385), S at (0.4779, 0.7500, 0.2121) and S at (0.4873, 0.7525, 0.7727).

=====

1.
Cs2P4Pd3O14: relaxed, PBE.

Computed properties:
theoretical density: 3.73 g/cm³
corrected total energy (MP2020 scheme): -6.896 eV per atom